By Rada Pavlova
The Reimagining the Economy Project brought together Raj Chetty (William A. Ackman Professor of Economics) and Michael Sandel (Anne T. and Robert M. Bass Professor of Government) for a talk titled “Education, Elitism, and Economic Opportunity” moderated by Dani Rodrik. This panel discussion is a part of our series of conversations titled “Economics and Beyond” that puts economics in conversation with other disciplines.
For this panel discussion, we invited Professors Raj Chetty and Michael Sandel to engage in a conversation on the American Dream and the value American society places on higher education. These scholars have done extraordinary work on issues that are at the core of the Reimagining the Economy program. Chetty’s work uses big data to highlight the importance of place and social networks in determining patterns of social mobility. Sandel has put forward a challenging view of the importance of civic virtue and community, putting limits on the role of markets in determining social value.
Is living the American Dream still possible?
Chetty presented evidence on the fading of the American Dream as reflected in the ability of any child, from any family, to move up the income distribution through their hard work. One of Chetty’s studies finds that over 90% of children born in 1940 went on to earn more than their parents, while only 50% of children born 1980 did so. Economists are now looking into why this changed while thinking about which factors hinder social mobility in the modern economy. The answers to these questions contribute to a broader discussion around distributive justice – a fair distribution of the benefits and burdens of social participation among a diverse group of people.
Sandel agreed that distributive justice is important, but argues that the decline in the American Dream also reflects a problem with contributive justice. Contributive justice goes beyond thinking of people as consumers and maximizing consumer welfare; it considers people as producers and includes their working conditions and the social recognition they receive from providing valuable services for others. Sandel attributes the deep political divide that America faces today partly to the stagnant wages of low and middle income workers and the sentiment of overlooking the work that they do to keep the system running. The political crisis is characterized by a failure of not only material distribution but also honor and recognition by the wider society.
Promises and Pitfalls of Higher Education
Chetty's most recent empirical work explores the role of higher education in contributing to social mobility. He finds that the most prestigious colleges deliver the best outcomes in terms of mobility but they admit the smallest portion of low income students. Children from families in the top 1% of the income distribution are more than 70 times as likely to attend an Ivy-Plus college compared to children from the bottom 20%. Conversely, colleges that admit many low income students are unable to produce the same mobility outcomes for their students. Chetty asked how we can shape higher education to both serve many low income children and deliver great upward mobility.
Sandel, on the other hand, suggested that the importance we place on higher education for doing well in one’s career could be greatly contributing to the problem of inequality. The doubling of the college wage premium in recent decades has been fueling the competition of getting into the top higher education programs in the US. One perspective is that this trend follows naturally from the economy’s greater need for skilled workers. Sandel’s perspective is that the same way we would contest if the wage gap between men and women doubled, we should not take the college wage premium as a given.
== These crystal structures were left in the piece by mistake ==
+++
Compound: Tm4B6O15
Source: the Materials Project database
Functional: PBE
Structure: relaxed

## Properties
- Calculated formation energy: -3.32 eV/atom
- ρ: 4.5 Mg/m³
- Energy above the most stable polymorph in this dataset: 1.68 eV/f.u.

CIF file:
```
data_Tm4B6O15
_chemical_formula_sum 'Tm12 B18 O45'
_cell_length_a 13.4249
_cell_length_b 13.4249
_cell_length_c 6.8847
_cell_angle_alpha 90.00
_cell_angle_beta 90.00
_cell_angle_gamma 120.00
_space_group_name_H-M_alt 'R 3'
_space_group_IT_number 146
_space_group_name_Hall 'R 3'
loop_
_atom_site_label
_atom_site_type_symbol
_atom_site_fract_x
_atom_site_fract_y
_atom_site_fract_z
_atom_site_occupancy
Tm1 Tm 0.0000 0.0000 0.0000 1
Tm2 Tm 0.0418 0.7830 0.0651 1
B1 B 0.1796 0.0509 0.3253 1
B2 B 0.1902 0.7211 0.3255 1
O1 O 0.0437 0.1523 0.2093 1
O2 O 0.0773 0.6890 0.2877 1
O3 O 0.1497 0.1185 0.8425 1
O4 O 0.1638 0.0509 0.5269 1
O5 O 0.1833 0.7839 0.9065 1
```



Compound: Ho4Si3Ge
Source: the Materials Project database
Functional: PBE
Structure: relaxed

## Properties
- Calculated formation energy: -0.83 eV/atom
- ρ: 7.9 Mg/m³

CIF file:
```
data_Ho4Si3Ge
_chemical_formula_sum 'Ho4 Si3 Ge1'
_cell_length_a 3.852
_cell_length_b 4.257
_cell_length_c 10.516
_cell_angle_alpha 90.00
_cell_angle_beta 90.00
_cell_angle_gamma 90.00
_space_group_name_H-M_alt 'P m m 2'
_space_group_IT_number 25
_space_group_name_Hall 'P 2 -2'
loop_
_atom_site_label
_atom_site_type_symbol
_atom_site_fract_x
_atom_site_fract_y
_atom_site_fract_z
_atom_site_occupancy
Ho1 Ho 0.000 0.000 0.000 1
Ho2 Ho 0.000 0.500 0.498 1
Ho3 Ho 0.500 0.000 0.718 1
Ho4 Ho 0.500 0.500 0.219 1
Si1 Si 0.000 0.000 0.281 1
Si2 Si 0.500 0.000 0.437 1
Si3 Si 0.500 0.500 0.939 1
Ge1 Ge 0.000 0.500 0.779 1
```

~~~~~

Density functional theory data (PBE-GGA) for BaCaEuSbO6 after structural relaxation.

Summary:
**Electronic total energy**: -72.1 eV/f.u.
**ΔE to the lowest computed polymorph**: 6 meV per atom
**Energy relative to the elements**: -2824 meV per atom

CIF file:
```
data_BaCaEuSbO6
_chemical_formula_sum 'Ba2 Ca2 Eu2 Sb2 O12'
_space_group_name_H-M_alt 'P -1'
_space_group_IT_number 2
_space_group_name_Hall '-P 1'
_cell_length_a 5.968
_cell_length_b 6.015
_cell_length_c 8.486
_cell_angle_alpha 89.64
_cell_angle_beta 89.38
_cell_angle_gamma 89.93
loop_
_atom_site_label
_atom_site_type_symbol
_atom_site_fract_x
_atom_site_fract_y
_atom_site_fract_z
_atom_site_occupancy
Ba1 Ba 0.006 0.030 0.250 1
Ca1 Ca 0.491 0.539 0.245 1
Eu1 Eu 0.000 0.500 0.000 1
Eu2 Eu 0.500 0.000 0.500 1
Sb1 Sb 0.000 0.500 0.500 1
Sb2 Sb 0.500 0.000 0.000 1
O1 O 0.104 0.496 0.730 1
O2 O 0.199 0.766 0.463 1
O3 O 0.230 0.802 0.026 1
O4 O 0.272 0.310 0.440 1
O5 O 0.318 0.279 0.053 1
O6 O 0.441 0.056 0.768 1
```

---

Density functional theory data (PBE-GGA) for BaCaEuSbO6 after structural relaxation.

Summary:
**Electronic total energy**: -71.4 eV/f.u.
**ΔE to the lowest computed polymorph**: 78 meV per atom
**Energy relative to the elements**: -2752 meV per atom

CIF file:
```
+++
“We have cast higher education as the arbiter of opportunity. Should colleges and universities be the arbiter of opportunity?” Sandel asked. “Today, colleges define merit in a market driven economy, but there are other countries that are democratic, have strong economies, and don't cast higher education in such a role.”
_Records of crystals that have nothing to do with the entry_
-- begin --
# 1
Material: NbPO5
Method: DFT, PBE-GGA
State: relaxed

Cell: 6.5577 7.5271 7.6624 Å, 90.00 90.00 90.00°
With the nearest neighbours (Å) after each atom.
Positions (direct):
Nb  0.2500  0.7401  0.1544  2 O 1.81-2.00
Nb  0.7500  0.2401  0.3456  2 O 1.81-2.00
Nb  0.2500  0.7599  0.6544  2 O 1.81-2.00
Nb  0.7500  0.2599  0.8456  2 O 1.81-2.00
P  0.7500  0.6232  0.1218  4 O 1.54-1.56
P  0.2500  0.1232  0.3782  4 O 1.54-1.56
P  0.7500  0.8768  0.6218  4 O 1.54-1.56
P  0.2500  0.3768  0.8782  4 O 1.54-1.56
O  0.2500  0.4898  0.0476  1 P 1.55
O  0.7500  0.1746  0.1183  1 Nb 1.81
O  0.5588  0.7414  0.1274  1 P 1.54
O  0.9412  0.7414  0.1274  1 P 1.54
O  0.2500  0.9988  0.2150  1 P 1.56
O  0.7500  0.4988  0.2850  1 P 1.56
O  0.0588  0.2414  0.3726  1 P 1.54
O  0.4412  0.2414  0.3726  1 P 1.54
O  0.2500  0.6746  0.3817  1 Nb 1.81
O  0.7500  0.9898  0.4524  1 P 1.55
O  0.2500  0.0102  0.5476  1 P 1.55
O  0.7500  0.3254  0.6183  1 Nb 1.81
O  0.5588  0.7586  0.6274  1 P 1.54
O  0.9412  0.7586  0.6274  1 P 1.54
O  0.2500  0.5012  0.7150  1 P 1.56
O  0.7500  0.0012  0.7850  1 P 1.56
O  0.0588  0.2586  0.8726  1 P 1.54
O  0.4412  0.2586  0.8726  1 P 1.54
O  0.2500  0.8254  0.8817  1 Nb 1.81
O  0.7500  0.5102  0.9524  1 P 1.55

Output
Offset from the most stable computed form (meV/atom): 21
Total magnetic moment (μB/cell): 0.00
Space-group type: Pnma, No. 62
Total energy after the MP2020 corrections (eV/atom): -8.6590
Energy relative to the elements (meV per atom): -2908
Energy (eV/cell): -228.71

# 2
Material: Zr3TiPb4O12
Method: DFT, PBE-GGA
State: relaxed

Cell: 11.7282 4.2502 5.9370 Å, 88.81 90.00 90.00°
With the nearest neighbours (Å) after each atom.
Positions (direct):
Zr  0.2457  0.0312  0.5272  6 O 2.04-2.25
Zr  0.5000  0.0309  0.0292  6 O 2.05-2.23
Zr  0.7543  0.0312  0.5272  6 O 2.04-2.25
Ti  0.0000  0.0537  0.0309  3 O 1.81-1.91
Pb  0.5000  0.5831  0.5783  3 O 2.42-2.45
Pb  0.7597  0.5870  0.0719  3 O 2.43-2.49
Pb  0.0000  0.5807  0.5864  3 O 2.43-2.48
Pb  0.2403  0.5870  0.0719  3 O 2.43-2.49
O  0.6205  0.9871  0.7453  2 Zr 2.04-2.21
O  0.8782  0.9873  0.2392  1 Ti 1.91
O  0.1157  0.9792  0.7647  1 Zr 2.08, 1 Ti 2.11
O  0.3652  0.9854  0.2487  2 Zr 2.06-2.18
O  0.3795  0.9871  0.7453  2 Zr 2.04-2.21
O  0.6348  0.9854  0.2487  2 Zr 2.06-2.18
O  0.8843  0.9792  0.7647  1 Zr 2.08, 1 Ti 2.11
O  0.1218  0.9873  0.2392  1 Ti 1.91
O  0.5000  0.5115  0.9842  2 Zr 2.05-2.23
O  0.7583  0.5122  0.4874  2 Zr 2.05-2.22
O  0.0000  0.4792  0.0001  1 Ti 1.81
O  0.2417  0.5122  0.4874  2 Zr 2.05-2.22

Output
Offset from the most stable computed form (meV/atom): 0
Total magnetic moment (μB/cell): 0.00
Space-group type: Pm, No. 6
Total energy after the MP2020 corrections (eV/atom): -8.2002
Energy relative to the elements (meV per atom): -2812
Energy (eV/cell): -155.76

# 3
Material: KLuC2O6
Method: DFT, PBE-GGA
State: relaxed

Cell: 6.3237 6.3237 6.8625 Å, 76.27 76.27 96.01°
With the nearest neighbours (Å) after each atom.
Positions (direct):
-- stop --
Elitism Everywhere
**Here the entry breaks off for records of crystals:**
# 1
Crystalline V2PbN4 at its relaxed geometry. Source: the Materials Project, functional PBE.

Crystal system   cubic
Uncorrected energy   -689.9 eV per cell
Magnetization   0.0000 μB per atom

Lattice parameters (Å, degrees): 10.6356 10.6356 10.6356 90.00 90.00 90.00
Last column: nearest neighbours and their distance in Å.
Sites, in units of the cell vectors:
V: 0.3783 0.7025 0.3583  4 N 1.80-1.86
V: 0.6217 0.2025 0.1417  4 N 1.80-1.86
V: 0.1217 0.2975 0.8583  4 N 1.80-1.86
V: 0.8783 0.7975 0.6417  4 N 1.80-1.86
V: 0.3583 0.3783 0.7025  4 N 1.80-1.86
V: 0.1417 0.6217 0.2025  4 N 1.80-1.86
V: 0.8583 0.1217 0.2975  4 N 1.80-1.86
V: 0.6417 0.8783 0.7975  4 N 1.80-1.86
V: 0.7025 0.3583 0.3783  4 N 1.80-1.86
V: 0.2025 0.1417 0.6217  4 N 1.80-1.86
V: 0.2975 0.8583 0.1217  4 N 1.80-1.86
V: 0.7975 0.6417 0.8783  4 N 1.80-1.86
V: 0.6217 0.2975 0.6417  4 N 1.80-1.86
V: 0.3783 0.7975 0.8583  4 N 1.80-1.86
V: 0.8783 0.7025 0.1417  4 N 1.80-1.86
V: 0.1217 0.2025 0.3583  4 N 1.80-1.86
V: 0.6417 0.6217 0.2975  4 N 1.80-1.86
V: 0.8583 0.3783 0.7975  4 N 1.80-1.86
V: 0.1417 0.8783 0.7025  4 N 1.80-1.86
V: 0.3583 0.1217 0.2025  4 N 1.80-1.86
V: 0.2975 0.6417 0.6217  4 N 1.80-1.86
V: 0.7975 0.8583 0.3783  4 N 1.80-1.86
V: 0.7025 0.1417 0.8783  4 N 1.80-1.86
V: 0.2025 0.3583 0.1217  4 N 1.80-1.86
Pb: 0.5000 0.5000 0.0000  12 N 3.11-3.18
Pb: 0.5000 0.0000 0.5000  12 N 3.11-3.18
Pb: 0.0000 0.5000 0.5000  12 N 3.11-3.18
Pb: 0.0000 0.0000 0.0000  12 N 3.11-3.18
Pb: 0.1221 0.8779 0.3779  6 N 2.66-2.74
Pb: 0.8779 0.3779 0.1221  6 N 2.66-2.74
Pb: 0.3779 0.1221 0.8779  6 N 2.66-2.74
Pb: 0.6221 0.6221 0.6221  6 N 2.66-2.74
Pb: 0.8779 0.1221 0.6221  6 N 2.66-2.74
Pb: 0.1221 0.6221 0.8779  6 N 2.66-2.74
Pb: 0.6221 0.8779 0.1221  6 N 2.66-2.74
Pb: 0.3779 0.3779 0.3779  6 N 2.66-2.74
N: 0.3587 0.8570 0.2792  2 V 1.80-1.86
N: 0.6413 0.3570 0.2208  2 V 1.80-1.86
N: 0.1413 0.1430 0.7792  2 V 1.80-1.86
N: 0.8587 0.6430 0.7208  2 V 1.80-1.86
N: 0.2792 0.3587 0.8570  2 V 1.80-1.86
N: 0.2208 0.6413 0.3570  2 V 1.80-1.86
N: 0.7792 0.1413 0.1430  2 V 1.80-1.86
N: 0.7208 0.8587 0.6430  2 V 1.80-1.86
N: 0.8570 0.2792 0.3587  2 V 1.80-1.86
N: 0.3570 0.2208 0.6413  2 V 1.80-1.86
N: 0.1430 0.7792 0.1413  2 V 1.80-1.86
N: 0.6430 0.7208 0.8587  2 V 1.80-1.86
N: 0.6413 0.1430 0.7208  2 V 1.80-1.86
N: 0.3587 0.6430 0.7792  2 V 1.80-1.86
N: 0.8587 0.8570 0.2208  2 V 1.80-1.86
N: 0.1413 0.3570 0.2792  2 V 1.80-1.86
N: 0.7208 0.6413 0.1430  2 V 1.80-1.86
N: 0.7792 0.3587 0.6430  2 V 1.80-1.86
N: 0.2208 0.8587 0.8570  2 V 1.80-1.86
N: 0.2792 0.1413 0.3570  2 V 1.80-1.86
N: 0.1430 0.7208 0.6413  2 V 1.80-1.86
N: 0.6430 0.7792 0.3587  2 V 1.80-1.86
N: 0.8570 0.2208 0.8587  2 V 1.80-1.86
N: 0.3570 0.2792 0.1413  2 V 1.80-1.86
N: 0.4147 0.7211 0.5237  2 V 1.81-1.83
N: 0.5853 0.2211 0.9763  2 V 1.81-1.83
N: 0.0853 0.2789 0.0237  2 V 1.81-1.83
N: 0.9147 0.7789 0.4763  2 V 1.81-1.83
N: 0.5237 0.4147 0.7211  2 V 1.81-1.83
N: 0.9763 0.5853 0.2211  2 V 1.81-1.83
N: 0.0237 0.0853 0.2789  2 V 1.81-1.83
Chetty and his team provide a compelling argument for paying attention to elite colleges and universities – their students are the ones to take on jobs that shape the world such as positions in public leadership and company management. However, their research also shows that these institutions perpetuate elitism. By denying access to low income students (for example, by favoring legacy admissions), they make prominent positions in society available only to a small minority of already wealthy people.
For Sandel, though, elitism extends beyond higher education. He is concerned with the modern tendency to outsource the judgment of value to markets. We perceive markets as a neutral instrument for determining answers to questions that we as democratic citizens would not be able to agree on, like who is contributing to society and how much. In a pluralist society, these questions are rife with conflict. Nevertheless, Sandel argued that markets have proven to not be trustworthy in determining value. They inherently favor the wealthy and well-connected. Instead, we need to reinvigorate public deliberation about what economic activities contribute value to the economy and the common good. We don’t need to arrive at a universal agreement for this debate to be valuable. Merely having the debate broadens society's perspective beyond the established elite.